Tuesday, September 16, 2008

TCM: It's Not A Glass Ceiling... It's a Sticky Floor

Attended a great seminar this morning from the Tech Council of Maryland. (Wish I could have twittered about it, but with an attendance of only 30 -- the event was purposely kept to a small number -- I felt my typing away while the speaker was presenting might be distracting. Which is an interesting question for later discussion...) Anyway, back to the topic at hand.

The speaker, Rebecca Shambaugh, is President and CEO of Shambaugh Leadership and author of a book by the same title as the seminar.

Lots of interesting things to write about, but I think I'll focus on what she calls the 7 "sticky floors" for women:

_Unrelated to this article: data records_
Entry 1:
{
  "formula": "C16H26CaN4O9",
  "method": "wB97M-V/def2-TZVPD",
  "species": ["Ca", "N", "C", "C", "N", "C", "C", "N", "C", "C", "N", "H", "H", "H", "H", "H", "H", "H", "H", "H", "H", "H", "H", "H", "H", "H", "H", "H", "H", "O", "C", "O", "C", "C", "C", "C", "C", "O", "C", "C", "O", "O", "H", "H", "H", "H", "H", "H", "H", "H", "O", "C", "O", "C", "O", "O"],
  "xyz": [[-0.11012, 0.97358, 0.05940], [-2.71103, -1.76946, -0.97715], [-2.66932, -2.91852, -0.08657], [-1.46294, -3.03897, 0.83998], [-1.31605, -2.01724, 1.86511], [-2.50259, -1.55730, 2.55243], [-3.17590, -0.33145, 1.93824], [-2.21952, 0.70906, 1.59653], [-0.18739, -2.30095, 2.72475], [1.16480, -1.92526, 2.14760], [1.25081, -0.49878, 1.92883], [-2.53226, -2.02766, -1.93825], [-2.00263, -1.07465, -0.77925], [-2.67279, -3.83883, -0.68022], [-3.58905, -2.96001, 0.51334], [-0.55664, -3.02979, 0.22826], [-1.52383, -4.04276, 1.31824], [-2.21096, -1.29292, 3.57305], [-3.26679, -2.34724, 2.65816], [-3.93934, -0.00011, 2.66100], [-3.69705, -0.60326, 1.01986], [-1.74167, 1.11820, 2.39498], [-2.66308, 1.47939, 1.10344], [-0.16177, -3.37736, 2.99219], [-0.31795, -1.75046, 3.66062], [1.31580, -2.40533, 1.17886], [1.92979, -2.32102, 2.83779], [2.06146, -0.26413, 1.37016], [1.26275, 0.09579, 2.74941], [-0.80310, -0.22799, -3.99042], [-0.40228, 0.41065, -3.00899], [-1.06256, 0.71636, -1.97228], [1.05997, 0.92202, -3.06931], [1.34081, 2.21594, -2.28270], [2.58517, 2.90145, -2.84833], [3.70998, 1.95567, -2.35746], [2.90942, 0.91974, -1.56330], [1.85689, 1.72768, -1.00285], [2.15857, -0.04187, -2.49773], [1.72265, -1.27804, -1.68167], [2.34647, -2.33310, -1.87731], [0.82294, -1.07627, -0.81467], [1.26460, 1.08778, -4.12893], [0.47619, 2.84894, -2.09404], [2.69556, 3.90078, -2.42738], [2.53689, 2.98343, -3.93493], [4.40694, 2.48045, -1.70304], [4.27423, 1.49278, -3.16825], [3.45128, 0.43271, -0.75325], [2.82283, -0.39410, -3.28732], [0.66764, 4.24032, 2.85077], [0.26705, 3.42963, 2.01941], [0.66766, 2.22644, 1.85871], [-0.90453, 3.85655, 1.00626], [-1.54471, 4.87861, 1.24181], [-1.08135, 3.04090, 0.03643]],
  "energy_ha": -2199.38746,
  "e_lumo_ev": 4.9,
  "largest_force_ev_per_a": 1.1,
  "total_charge": -2,
  "relative_energy_kj_mol": 28.96
}

Entry 2:
{
  "formula": "C16H26Cl2F9InN3O2",
  "method": "wB97M-V/def2-TZVPD",
  "species": ["C", "C", "Cl", "C", "Cl", "In", "C", "N", "C", "C", "C", "F", "F", "C", "F", "F", "C", "F", "F", "C", "F", "F", "F", "H", "H", "H", "H", "H", "H", "H", "H", "H", "H", "H", "H", "C", "C", "O", "N", "C", "H", "H", "H", "H", "H", "H", "H", "C", "C", "O", "N", "C", "H", "H", "H", "H", "H", "H", "H"],

Managing Work/Life Balance, or what Becky would prefer to call "Work/Life Integration."
-- Know what is good enough. (You can't be at 180% in everything you do all the time. More on this point later.)
-- Set your top 2-3 priorities. How do the items on your to-do list feed into those priorities. (I admit. I'm not good at this last point. I feel the need to do everything on my to-do list whether they feed into my larger priorities or not. I need to work on that.)

Driving for Perfectionism
-- You don't have to get an "A" at everything you do.
-- Your employer is paying you for your strengths, not to be perfect.
-- Seek feedback from your boss, customers, clients, etc., as to how they define success and calibrate your performance standards to match.

Building Your Strategic Network
-- Create your own personal "Board of Directors" made up of people you know, people you trust, people who will challenge and test you, people who you can learn from... (I love this suggestion. I've already started thinking about who would be mine.)
-- People get business done through people, not organizations. (Another critical point.)
-- Be a value to others. Your network needs to be what you can provide to people as well as what they can provide to you.
-- Remember 6 Degrees of Separation. The person sitting next to you on the plane or on the treadmill next to yours at the gym may become an important business contact down the road.

Making Your Words Count
-- As communicators, we love this point. And these bullets may be preaching to the choir...
-- More than 80% of day-to-day life is spent communicating, and 60% of that communication is misunderstood and requires repair work. (If only more of our non-PR/Comms colleagues would come to us for guidance...)
-- Sometimes less is more. Give the bottom line up front, then support with details. (An important lesson in pitching story ideas to the media.)
-- Know your audience. Choose the right (relevant) data to make them believers.
-- Be aware of non-verbals.

Staying In One Place Too Long -- The Loyalty Factor
-- Know when it's the right time to stay somewhere and when it's the right time to leave.
-- Ask yourself: "What is the worst that could happen?"
-- Be willing to take a job for which you feel underqualified and then work like crazy to figure it out.

Asking For What You Want

-- Know what you want and what you're entitled to and ask for it.
(Apparently this is a common challenge for women. I'm one of the few that can say it isn't. I guess I was unusually bold in the early stages of my career, thanks in part to my unofficial "career counselor," my father. At my first job out of college, after a year I wrote a memo about why I deserved a raise and started the conversation. And got the raise. And at my second job, I found out that someone they fired was making significantly more than me prior to being fired. All her work had been given to me and I was told that the client was thrilled with the work product. I used the opportunity to write a memo about why I deserved a raise. The boss, a woman, apparently was angry I had the guts to do so after only being there a few months. Regardless, I got the raise.)

Capitalizing on Your Political Savvy
-- Understand organization dynamics and how decisions get made.

You can read more about Becky's Sticky Floors and other advice at her blog.

-- Robin

1 comment:

eloquentwoman said...

Re: women and negotiating, including raises, see my post on The Eloquent Woman: http://eloquentwoman.blogspot.com/2007/10/how-women-size-up-audiences.html -- it is sticky, particularly when you face another woman over the negotiating table. Nice post, Robin!